How to Supercharge Your Dopamine Levels to Never Feel Sad, Stressed or Depressed Again

Low dopamine levels promote sadness, depression, negativity and other emotional issues. Lucky you, there are 10 easy and natural ways you can increase your dopamine levels without medication.

Dopamine is a neurotransmitter released by the brain that plays a number of vital functions in our bodies. Among them are:

  • Regulating movement
  • Controlling our brain’s pleasure and reward center
  • Improving our cognitive functions (knowledge, memory, attention, evaluation, problem solving, and decision making)
  • Regulating prolactin secretion

Given that dopamine is crucial for our happiness and well-being, the fact that low levels of this neurotransmitter can lead to sadness, depression, negativity and many other emotional troubles doesn’t come as a surprise.

Luckily, there are 10 easy and all- natural ways to increase our dopamine levels without using medications.

1. Don’t Get Addicted

Addiction to drugs, alcohol, and gambling, and even addiction to sex or shopping, often provides us with an instant pleasure. However, this type of instant fix will never provide a permanent solution to our problems. Addictions can only satisfy our transient needs, but they are not the solution to our long-term problems. Every addictive behavior leads to a lifestyle that is mostly based on the satisfaction that we get from the source of our addiction.In order to reduce the risk of developing any type of addiction; you should aim to live a more fulfilling life with more life-rewarding pleasures. It is very important to enjoy in simple things such as conversations, walking or reading. Moreover, note that you should also look for a job in which you will enjoy.

2. Checklist Small Tasks

Dopamine levels increase when we are organized and finish tasks, regardless of whether the tasks are easy or difficult.So, instead of worrying about the things you need to do, you should write them on paper and check them off one at a time. It has been shown that checking things off of our to-do list positively affects our dopChecklist Small Tasksamine levels.

According to the Principles of Self-Management, if some task represents a change of 25% (or bigger change) in your routine, you will feel incapable of completing it. This usually leads to a self-sabotage or giving up. On the other hand, if your task involves less than 10% change to your routine, it is very likely that you will not do it because it will look easy and meaningless. So, the best way to balance the scale is to perform tasks that are between 10 and 25% of new behaviors. In other words, you should do something that is challenging and motivating, but still not too difficult.

3. Create Something

Creative activity increases dopamine levels in your brain and makes you more focused. You don’t necessarily have to be a professional artist in order to be creative. Writing, painting, sculpturing, drawing, dancing, singing, knitting, cooking, making crafts, and auto repair, are just some of the many creative things you can do.

4. Exercise

Every form of exercise will increase your dopamine levels as well as your endorphins and serotonins levels. Regular exercise reduces stress, creates joy and makes us stronger, which is very important for our day-to-day life. Just make sure not to become addicted to exercising.

5. Get a Streak Going

For the purpose of this article, we will define “streak” as a visual reminder of how many times in a row you have done something. Getting a streak going is very similar to creating a checklist and accomplishing your tasks. It increases your dopamine levels and makes you feel happier. Take a calendar and write down the goals you want to accomplish in the following days and months. For example, if you exercise on Monday, Thursday, and Sunday – mark these days on the calendar for the month. After you have finished your exercising, mark it off on the calendar.

-- Misplaced materials data --
~~~
# TlCd2MoO

TlCd2MoO after structural relaxation (PBE+U, Alexandria via LeMat-Bulk).

- space group = P4/mmm (123)
- final energy (eV/atom) = -2.521
- total magnetic moment (μB/f.u.) = 5.28

abc: 5.8898 5.8898 4.2424
angles: 90.00 90.00 90.00
Element x y z (fractional)
Tl: 0.0000 0.0000 0.0000
Cd: 0.0000 0.5000 0.0000
Cd: 0.5000 0.0000 0.0000
~~~

Although ‘streak’ is a very useful tool, it has one negative aspect—routine. To counter it, you should try to find new ways to improve the performances of your actions.This will also help you to find out how much you have improved at the things you are doing.

6. Increase Tyrosine

Increase Tyrosine

Tyrosine is the most important chemical for the production of dopamine. It is one of the 22 key amino acids that are used for the creation of proteins in the body. Besides dopamine, tyrosine can also increase norepinephrine levels.
There are many food sources that can increase the tyrosine levels in your body, such as almonds, avocados, bananas, watermelon, green tea, and dark chocolate.

7. Listen to Music

Listening to music can increase your dopamine levels, even though this is only a temporary increase. It will make you feel amazing temporarily, but it won’t lead to a lasting fulfillment. That’s why music should only be one of your many sources of dopamine.

8. Meditate

Meditation increases dopamine levels differently than cardiovascular exercises. It calms your mind, helps you feel better, and creates more mental energy. If you practice meditation regularly, you will be well-prepared to combat everyday stressful situations.

9. Take Supplements

There are many natural supplements that will help you increase your dopamine levels. Some of them include:

  • Acetyl-l-tyrosine is a building block of dopamine.A healthy dose of this will improve your brain’s ability to produce dopamine.
  • Ginkgo Biloba is another supplement that is well-known for its ability to increase dopamine levels.
  • L-theanine increases many neurotransmitters in the brain and dopamine is only one of them. Green tea is a great source of l-theanine.
  • Curcumin(the active ingredient in turmeric)also has the ability to increase dopamine levels in your brain.

10. Toxic CleansingToxic Cleaning

What comes next are crystal structures, not part of the article
____________
A plane-wave DFT calculation with GGA+U was carried out for a relaxed structure of CrSO2F.

a b c (Å): 3.7464 3.7464 4.0795
angles (deg): 90.00 90.00 90.00
With the nearest neighbours (Å) after each atom.
Atoms (fractional coordinates):
O 0.5000 0.0000 0.0000  2 Cr 1.87
O 0.0000 0.5000 0.0000  2 Cr 1.87
F 0.0000 0.0000 0.5000  2 Cr 2.04
Cr 0.0000 0.0000 0.0000  4 O 1.87, 2 F 2.04
S 0.5000 0.5000 0.5000  4 F 2.65, 8 O 2.77

Properties
Total DFT energy (no corrections) ... -4.942 eV/atom
DOS(E_F) ... 2.93 states/eV/cell

=====

Density functional theory data (GGA-PBE) for crystalline K2PdF4 at its relaxed geometry.

Results
- Polymorph energy (0 for the lowest one): 0.070 eV per atom
- Formation energy without anion corrections: -2.11 eV per atom
- DOS at the Fermi energy: 0.991 states/eV/cell
- Calculated total energy: -4.23 eV/atom

Cell lengths 4.360, 4.360, 13.126 Å; angles 90.00, 90.00, 90.00 degrees
Space group I4/mmm (No. 139)
Asymmetric unit:
K1 0.000 0.000 0.141 [4 per cell]
Pd1 0.000 0.000 0.500 [2 per cell]
F1 0.000 0.000 0.338 [4 per cell]
F2 0.000 0.500 0.000 [4 per cell]



Density functional theory data (GGA-PBE) for crystalline K2Pd2F7 at its relaxed geometry.

Results
- Polymorph energy (0 for the lowest one): 0.009 eV per atom
- Formation energy without anion corrections: -1.84 eV per atom
- DOS at the Fermi energy: 13.813 states/eV/cell
- Calculated total energy: -4.17 eV/atom

Cell lengths 4.307, 13.592, 6.744 Å; angles 90.00, 91.16, 90.00 degrees
Space group P2_1/c (No. 14)
Asymmetric unit:
K1 0.173 0.133 0.458 [4 per cell]
Pd1 0.361 0.589 0.560 [4 per cell]
F1 0.000 0.000 0.000 [2 per cell]
F2 0.287 0.176 0.873 [4 per cell]
F3 0.331 0.554 0.842 [4 per cell]
F4 0.349 0.638 0.286 [4 per cell]



Density functional theory data (GGA-PBE) for crystalline KPdF at its relaxed geometry.

Results
- Polymorph energy (0 for the lowest one): 0.147 eV per atom
- Formation energy without anion corrections: -1.27 eV per atom
- Calculated total energy: -3.99 eV/atom

Cell lengths 9.848, 3.516, 6.992 Å; angles 90.00, 90.00, 90.00 degrees
Space group Pnma (No. 62)
Asymmetric unit:
K1 0.173 0.250 0.094 [4 per cell]
Pd1 0.036 0.250 0.618 [4 per cell]
F1 0.102 0.750 0.825 [4 per cell]



Density functional theory data (GGA-PBE) for crystalline KPdF at its relaxed geometry.

Results
- Polymorph energy (0 for the lowest one): 0.001 eV per atom
- Formation energy without anion corrections: -1.41 eV per atom
- DOS at the Fermi energy: 0.296 states/eV/cell
- Calculated total energy: -4.13 eV/atom

Cell lengths 3.336, 3.548, 10.343 Å; angles 90.00, 99.03, 90.00 degrees
Space group Pm (No. 6)
Asymmetric unit:
K1 0.000 0.000 0.000 [1 per cell]
K2 0.160 0.500 0.320 [1 per cell]
Pd1 0.339 0.500 0.691 [1 per cell]
Pd2 0.794 0.000 0.599 [1 per cell]
F1 0.459 0.500 0.915 [1 per cell]
F2 0.612 0.000 0.221 [1 per cell]

=====

(1)
## Ca2Zn (GGA-PBEsol)

Data for a relaxed Ca2Zn crystal.

Cell: 3.807 7.163 7.529 Å, 111.14 104.64 90.00°
Positions (direct):
____________

The accumulation of bacteria and toxins in your body weakens the immune system and inhibits the production of dopamine.
